- Mar 2020
colig.github.io colig.github.io
I think it is interesting to analyze the contrast between the different definitions of the concept of citizenship. On the one hand we have the traditional way of thinking about citizenship, which that contains a historical component and tends to be politically biased, on the other hand, the digital citizenship overcomes physical boundaries. I personally agree more with the digital citizenship because it allows you to create a sense of community outside of geographical boundaries set by the traditional definition of citizenship.
Put another way, emerging digital media andweb-based networking environments allow people to adopt new perspectivestoward the self, the other, their community, and the world at large
I find this very interesting given that I grew up as technology was emerging, and I have been involved with technology in school my whole life. I feel that this has impacted my points of view, which has been made visible in my values and how these contrast with those that my family has.
ruth-avidar.com ruth-avidar.com
According to the Shannon–Weaver(1947) model, the communication process begins with information selected by a “source”; thatis, a transmitter codes the information so that it is suitable for transmission over a channel.The information then flows through a channel until it arrivesat a “receiver” and is decoded.
As a psychology major, I think it is very important to address that communication is a lot more than just putting a message out there. In today's world, people seem to forget that communication also involves your audience, the way your message is perceived, and the response that it gets. This is where ethics become important because yes, we have freedom of speech, but when communicating we have to consider how our freedom must have limits in order for it to be ethical based purely on how communication works
- Feb 2020
www.theguardian.com www.theguardian.com
It’s not that readers are stupid, or even necessarily credulous: it’s that the news format is easy to imitate and some true stories are outlandish enough to beggar belief.
Imitating the news format is a violation of the principle of fair representation because information is being presented in one way but it is not accurate in comparison with reality. This also means that the principle of nonmaleficence is also being violated because the news are usually faked with a bad intention behind it.
harvardmagazine.com harvardmagazine.com
-- Inserted here: calculated crystals --
Version a
{"formula": "LiVGaO4", "functional": "PBE with a Hubbard U", "state": "optimized geometry", "lattice_angstrom": [[-5.8834, 0.0250, -0.0350], [0.0437, -3.4773, 4.7619], [0.0006, 6.9426, 5.0695]], "species": ["O", "Li", "Ga", "V", "O", "Li", "O", "O", "O", "O", "O", "V", "O", "V", "Ga", "O", "O", "O", "Li", "Li", "V", "O", "O", "Ga", "O", "O", "Ga", "O"], "fractional_positions": [[0.2420, 0.2210, 0.4936], [0.2498, 0.5000, 0.6342], [0.7504, 0.7503, 0.7501], [0.5000, 0.5000, 0.0000], [0.2583, 0.2787, 0.0064], [0.7502, 0.5000, 0.3658], [0.2579, 0.7790, 0.4937], [0.9753, 0.0085, 0.7326], [0.7417, 0.7213, 0.9936], [0.5249, 0.4919, 0.7678], [0.7584, 0.2788, 0.9939], [0.5001, 0.0001, 0.4999], [0.2416, 0.7212, 0.0061], [0.0000, 0.0001, 0.5000], [0.2501, 0.7500, 0.2500], [0.4750, 0.0083, 0.2674], [0.7580, 0.7790, 0.5064], [0.7421, 0.2210, 0.5063], [0.2500, 0.0001, 0.8663], [0.7500, 0.9999, 0.1337], [0.9999, 0.4999, 0.0000], [0.5251, 0.9917, 0.7326], [0.0247, 0.9915, 0.2674], [0.7499, 0.2500, 0.7500], [0.0252, 0.4917, 0.2325], [0.4752, 0.5081, 0.2322], [0.2496, 0.2497, 0.2498], [0.9747, 0.5082, 0.7675]], "magmom_total_mub_per_cell": 4.00}

---

Version b
{"formula": "LiVGaO4", "functional": "PBE with a Hubbard U", "state": "optimized geometry", "lattice_angstrom": [[5.9449, 0.0059, 0.0038], [-0.0004, -3.4971, 4.7899], [2.9671, -5.1577, -0.0954]], "species": ["O", "Ga", "V", "V", "O", "O", "O", "Li", "Ga", "O", "O", "O", "O", "Li"], "fractional_positions": [[0.2050, 0.7366, 0.5269], [0.0000, 0.0000, 0.5000], [0.0000, 0.5000, 0.0000], [0.5000, 0.5000, 0.0000], [0.7621, 0.7290, 0.9853], [0.7950, 0.2634, 0.4731], [0.2543, 0.2729, 0.4545], [0.3834, 0.1305, 0.7391], [0.0000, 0.5000, 0.5000], [0.2379, 0.2710, 0.0147], [0.7457, 0.7271, 0.5455], [0.2376, 0.7142, 0.0145], [0.7624, 0.2858, 0.9855], [0.6166, 0.8695, 0.2609]], "crystal_system": "monoclinic", "magmom_total_mub_per_cell": 2.00, "space_group": "No. 12"}

---

Most stable: version a

---

Version a
{"formula": "Sr4MgMn2Ga2O11", "functional": "PBE with a Hubbard U", "state": "optimized geometry", "lattice_angstrom": [[3.2663, -5.4918, 0.5160], [2.0887, 0.0470, -5.2828], [8.3791, 1.4680, 0.4149]], "species": ["Sr", "O", "Mn", "Ga", "Mg", "Sr", "O", "Mn", "O", "O", "O", "Ga", "Sr", "O", "O", "O", "O", "O", "O", "Sr"], "fractional_positions": [[0.5870, 0.2008, 0.7136], [0.0824, 0.9955, 0.4788], [0.2425, 0.2479, 0.4984], [0.5179, 0.4804, 0.0090], [0.3853, 0.7585, 0.6885], [0.9576, 0.3577, 0.2408], [0.6956, 0.1861, 0.9765], [0.8230, 0.7992, 0.4718], [0.1636, 0.0196, 0.7830], [0.9322, 0.4623, 0.5178], [0.6680, 0.7265, 0.7336], [0.9185, 0.9340, 0.9985], [0.3937, 0.8395, 0.2712], [0.7497, 0.6492, 0.0479], [0.3751, 0.5104, 0.5499], [0.5691, 0.0287, 0.4628], [0.3337, 0.4210, 0.2426], [0.9792, 0.8918, 0.2053], [0.2824, 0.4713, 0.9246], [0.9979, 0.5076, 0.7793]], "crystal_system": "triclinic", "magmom_total_mub_per_cell": 8.00, "space_group": "No. 1"}

---

Version b
-- Here the text continues --
he began teaching mobile-application development to students in the University of Nairobi’s computer-science department.
This is important because the more technology that is implemented in teaching, the more ethics are brought up and considered. This can be connected to the part of Reading #1 that talks about Integrating Ethics in Teaching Information Literacy. I feel like this would be a good opportunity to keep people aware of the importance of information literacy and ethics.
www.abc.net.au www.abc.net.au
Some economists argue that the payoff was an improved standard of living for the general population
Although I mostly agree with this statement, it brought to my mind the Principle of Nonmaleficence. Most of our lives may have improved, but this principle isn't always respected which in turn causes some people's lives to turn worst instead of better. An example of this is when people are cyberbullied because it's easier for people to be mean to each other via the internet.
the company’s system flagged a post by a student containing a photo of a backpack with a weapon inside
This is one example of why this idea might be good. As utilitarianism would say, the happiness of the majority outweighs the discomfort that being monitored may cause to this particular individual.
students receive classes on social media
I think that education can make a big difference when it comes to how teenagers are using social media. Social media is a topic that already interests them, so I think that adding classes about it to teach them even more than they already know is a good investment.
Lenhart cautions that research on kids, teens, and social media has shown that it’s difficult for adults peering into those online communities from the outside to easily interpret the meaning of content there.
I have very mixed feelings about how ethical it is for a school to monitor social media posts. I feel that people are entitled to their privacy, but at the same time social media posts are public and people are aware of that. However, this sentence really got me thinking about how many problems could be caused by the school watching everything the kids say on social media. We all know how kids can exaggerate a lot or not think before they act, so a simple social media post could become a huge problem if misinterpreted by the adults who tend to take those things more seriously.
colig.github.io colig.github.io
I chose the principle of utilitarianism. I found this rather interesting because I feel that at first it sounds really good because you focus on doing what's best for the majority of people. You focus on what brings them happiness. However, as you think more deeply about it, utilitarianism has very blurry lines about what's good or not because they only have the one principle of making the majority of people happy, which can become an ethical problem if the majority of people want something that is not considered particularly good.
learningfutures.github.io learningfutures.github.io
We make and use a lot of stuff—and stuffmatters.
This reminded me of the part in the podcast where Dash mentions that in his mind computers are a tool to create, not consume. This was a very interesting statement because most people see technology as a commodity that is good to get our needs met, but not all of us see technology as something used to build more things. This makes me think that some of us may appear entitled to this technology and the commodities it gives, without taking into consideration the amount of work that is put into making such technologies possible. I think when it comes to technology and ethics it is important to understand everything that goes on behind the scenes when creating new technology instead of only seeing what is obvious and right in front of us. We need to dig deeper.
- Jan 2020
learningfutures.github.io learningfutures.github.io
Our world is largely aconstructed environment
This small sentence stuck with me immediately. The reason is that it automatically made me think of the fact that we as humans are aware that a big part of our lives is constructed. We use phrases such as "this is socially constructed", we even make movies that show this concept. It's funny, but the first movie that comes to mind is Wall-E. In that movie, everything was planned for humans. Everything was constructed. So this shows just how aware we are as a society that a big part of our lives is constructed, yet we as humans crave complete freedom, but we do not want to give up our technology. I don't think it has to be one or the other, but this sentence triggered a bunch of thoughts on how we can reach a good midpoint between the parts of our lives that are inevitably constructed because of technology and the level of freedom we hope to achieve. What do you guys think?